Mission and Objectives


Our mission is to work towards the protection and empowerment of women and girls in all spheres of public and private life so that they realize their full potential in a just and unbiased society.

Through our guiding principle, we strive to address a number of structural inequalities which are layered in social organization and mindset, and present the building blocks of gender based discrimination and violence. The issues we devote our efforts to are combating the historical gender inequalities which assign women and girls a subordinate role in society and the family, making their contribution and participation unrecognized and undervalued. We try to work with society and its individual members in parallel so that we ensure raising public awareness on the pervasive negative effects of patriarchal structure and protecting the rights of the vulnerable through giving them the chance to be actors on their own.

The main objectives of the GAF and its Team are:

Molecular data from another source follow:
+++
Density functional theory data (the ωB97M-V functional and the def2-TZVPD basis) for a cluster of 2 separate species, C4H12 in total.

Summary:
SMILES string	CC.CC
E_LUMO	1.14	eV
largest force on an atom	4.418	eV/A
frontier orbital gap	12.47	eV
total energy	-159.526869	hartree

```
! wB97M-V def2-TZVPD RIJCOSX def2/J DEFGRID3
* xyz 0 1
C -0.094 -1.940 -0.482
C -0.139 -1.169 -1.857
H -0.579 -1.507 0.376
H -0.785 -2.684 -0.571
H 0.995 -2.275 -0.177
H -1.065 -0.642 -1.931
H -0.324 -1.917 -2.511
H 0.755 -0.724 -2.165
C 0.503 1.434 0.558
C -0.206 1.719 1.842
H 1.407 1.954 0.251
H 0.749 0.446 0.347
H -0.182 1.791 -0.353
H -0.572 2.705 1.916
H 0.279 1.585 2.704
H -1.060 1.005 1.752
*
```

These are the natural (NBO) partial charges, in e, on atoms 1 to 2:
1. C -0.61
2. C -0.61

~~~~~

ORCA calculation (ωB97M-V/def2-TZVPD) on a structure of composition C33H31AsBrCrF5N3O4PS.

The geometry in XYZ format:
```
81
Properties=species:S:1:pos:R:3:lowdin_spin:R:1
Cr 0.4349 0.7505 0.9183 2.90
F -5.6198 3.7803 3.5780 0.00
C -4.6781 2.9470 3.1877 0.00
C -3.7769 3.3157 2.2056 0.00
F -3.8530 4.5081 1.5995 0.00
C -2.7976 2.4324 1.8076 0.00
F -1.9499 2.8826 0.8245 0.00
C -2.6659 1.1525 2.3189 0.00
S -1.5404 -0.0716 1.7410 -0.04
C -3.5866 0.8060 3.3095 0.00
F -3.5369 -0.4031 3.8521 0.00
C -4.5734 1.6780 3.7441 0.00
F -5.4226 1.3016 4.6791 0.00
C 0.5612 6.1513 2.6463 0.00
C 0.8063 4.6932 2.9028 0.00
C 1.3977 4.2407 4.0820 0.01
C 1.6511 2.8910 4.2794 0.00
C 1.2735 2.0413 3.2688 0.01
Br 1.6174 0.1751 3.2938 -0.01
N 0.6740 2.4253 2.1438 -0.01
C 0.4603 3.7366 1.9605 0.01
H 0.5676 6.7176 3.5749 0.00
H -0.3997 6.3117 2.1585 0.00
H 1.3405 6.5625 2.0027 0.00
H 1.6730 4.9507 4.8522 0.00
H 2.1235 2.5200 5.1775 0.00
H -0.0177 4.0092 1.0298 0.00
O 0.6393 -0.9648 0.1043 0.07
As 1.2884 -2.3517 -0.6129 0.01
C 0.1278 -3.7891 -0.2011 0.00
C 0.5915 -5.0901 -0.3829 0.00
C -0.2589 -6.1500 -0.1097 0.00
C -1.5490 -5.9041 0.3446 0.00
C -1.9989 -4.6031 0.5305 0.00
C -1.1612 -3.5318 0.2561 0.00
C 1.2702 -2.0425 -2.5017 0.00
C 0.3821 -2.7710 -3.2942 0.00
C 0.3566 -2.5596 -4.6691 0.00
C 1.2157 -1.6314 -5.2459 0.00
C 2.1117 -0.9181 -4.4562 0.00
C 2.1429 -1.1231 -3.0840 0.00
C 3.0500 -2.6879 0.0050 0.00
C 3.2431 -2.7593 1.3853 0.00
C 4.4960 -3.0743 1.8816 0.00
C 5.5443 -3.3300 1.0035 0.00
C 5.3433 -3.2812 -0.3683 0.00
C 4.0913 -2.9629 -0.8772 0.00
H 1.6047 -5.2818 -0.7185 0.00
H 0.0874 -7.1661 -0.2400 0.00
H -2.2053 -6.7353 0.5652 0.00
H -2.9990 -4.4237 0.9014 0.00
H -1.4957 -2.5147 0.4232 0.00
H -0.2554 -3.5270 -2.8481 0.00
H -0.3062 -3.1466 -5.2922 0.00
H 1.2113 -1.4873 -6.3183 0.00
H 2.8017 -0.2218 -4.9142 0.00
H 2.8660 -0.5870 -2.4798 0.00
H 2.4103 -2.6090 2.0646 0.00
H 4.6551 -3.1424 2.9493 0.00
H 6.5202 -3.5856 1.3940 0.00
H 6.1586 -3.4997 -1.0443 0.00
H 3.9385 -2.9418 -1.9485 0.00
N -3.3883 3.3180 -1.3585 0.00
C -2.0368 3.2125 -2.0090 0.00
P -1.4068 1.5218 -1.6148 0.01
O -2.6445 0.7373 -1.3402 0.00
O -0.2478 1.6850 -0.6597 0.02
C -0.6972 0.7394 -3.1478 0.00
N -1.5163 -0.4900 -3.4470 0.00
+++

  • Achieving a balanced civil society with equal chances and equal representation of men and women and of different ethnic groups in the public and private spheres. 
  • Conducting gender research in all spheres of social life.
  • Work with young people to secure meaningful youth participation;
  • Supporting people in difficult social and economic situation, victims of violence and discrimination, those in need for protection and help for their social integration.
  • Protecting and realizing the Universal and European standards for human rights and taking up initiatives for bringing Bulgarian legislation in conformity with these standards.

The Foundation accomplishes its objectives through: 

> Conducting legal, social, economic and other kinds of research, studies, publications, and monitoring in order to keep and promote the human rights and the standards of equality;

> Drafting proposals for amendments in the Bulgarian legislation concerning human rights, freedom from discrimination and equality of men and women in all spheres of life;

> Elaborating, organizing and accomplishing projects related to gender issues;

> Organizing round tables, seminars and other forms of discussions on the issues of gender and human rights;

> Working out a program for gender research and education;

> Implementing education on human rights of workers, entrepreneurs, state administrators, lawyers and students, other non-governmental organizations;

(Unrelated to this article: quantum chemistry results)
********
The following is a DFT calculation (ωB97M-V/def2-TZVPD) of an isolated molecule of C9H11NO2S in a non-equilibrium geometry.

Positions of all 24 atoms, in Å:
1 C 1.90 1.40 -2.35
2 C 0.59 1.50 -1.60
3 C 0.12 2.98 -1.61
4 C 0.49 0.93 -0.19
5 N -0.06 -0.24 -0.02
6 C -0.19 -0.71 1.22
7 C 0.41 -0.16 2.35
8 C 1.18 0.97 2.20
9 O 1.88 1.26 3.15
10 O 1.09 1.60 0.92
11 C 0.03 -0.82 3.62
12 C -0.23 -2.23 3.18
13 S -1.06 -2.19 1.59
14 H 2.61 2.05 -2.02
15 H 2.37 0.38 -2.24
16 H 1.73 1.53 -3.44
17 H 0.00 0.98 -2.38
18 H 0.44 3.44 -2.58
19 H 0.48 3.63 -0.79
20 H -1.03 2.96 -1.52
21 H -0.90 -0.27 4.07
22 H 0.85 -0.80 4.27
23 H -0.73 -2.68 3.97
24 H 0.72 -2.80 2.92

* lowest unoccupied orbital energy: -0.021 eV
* relative energy (zero: lowest compared OMol25 entry of this formula, charge and spin): 44.3 kcal per mole
* max |F|: 4.42 eV/Å
* E: -25930.3539 eV

Charge distribution, natural (NBO) scheme, values in e: -0.58, -0.30, -0.61, 0.64, -0.51, 0.10, -0.22, 0.74, -0.57, -0.50, -0.41, -0.52, 0.29, 0.20, 0.22, 0.21, 0.25, 0.22, 0.23, 0.21, 0.22, 0.24, 0.23, 0.22

The following is a DFT calculation (ωB97M-V/def2-TZVPD) of a structure of composition C9H23FeO4 in a non-equilibrium geometry.

Positions of all 37 atoms, in Å:
1 Fe -1.13 -0.48 -0.03
2 C -1.03 0.10 -3.84
3 C -1.68 -1.09 -3.12
4 O -2.09 -0.85 -1.84
5 H -0.92 -0.09 -4.91
6 H -0.05 0.34 -3.41
7 H -1.64 0.98 -3.61
8 H -0.96 -1.94 -3.17
9 H -2.53 -1.41 -3.75
10 C 0.52 -2.26 2.32
11 C -0.96 -2.61 2.29
12 O -1.71 -1.77 1.48
13 H 0.94 -2.44 1.33
14 H 1.02 -2.90 3.06
15 H 0.71 -1.25 2.69
16 H -1.32 -2.62 3.33
17 H -1.11 -3.63 1.91
18 C -1.03 2.04 2.72
19 C -1.15 2.46 1.27
20 O -1.44 1.45 0.38
21 H -0.25 1.29 2.86
22 H -1.94 1.53 3.05
23 H -0.97 2.87 3.43
24 H -0.19 2.92 0.95
25 H -1.89 3.27 1.20
26 C 1.63 1.47 -1.42
27 C 1.99 0.15 -0.80
28 C 2.37 0.32 0.66
29 O 0.85 -0.74 -0.82
30 H 1.16 1.42 -2.40
31 H 2.47 2.17 -1.47
32 H 0.88 2.02 -0.84
33 H 2.83 -0.32 -1.32
34 H 1.56 0.63 1.32
35 H 3.19 1.03 0.82
36 H 2.81 -0.59 1.09
37 H 1.05 -1.48 -1.41

* lowest unoccupied orbital energy (alpha / beta): 2.997 / 2.995 eV
* relative energy (zero: lowest compared OMol25 entry of this formula, charge and spin): 12.4 kcal per mole
* charge: -1
* max |F|: 1.91 eV/Å
* E: -52283.4928 eV
* spin multiplicity: 5
* ⟨S²⟩: 6.010

Charge distribution, natural (NBO) scheme, values in e: 1.58, -0.64, -0.01, -0.99, 0.18, 0.17, 0.21, 0.08, 0.11, -0.63, -0.03, -0.99, 0.19, 0.18, 0.20, 0.11, 0.12, -0.64, -0.02, -1.00, 0.19, 0.21, 0.18, 0.10, 0.12, -0.65, 0.10, -0.63, -0.77, 0.22, 0.20, 0.25, 0.16, 0.24, 0.20, 0.21, 0.50

The following is a DFT calculation (ωB97M-V/def2-TZVPD) of a structure of composition C46H55F3N10SSbTi in a non-equilibrium geometry.

Positions of all 117 atoms, in Å:
1 Ti -0.02 -0.72 0.82
2 C 1.50 1.93 0.22
3 N 0.54 1.15 0.98
4 C -0.11 1.80 1.94
5 C -1.07 1.07 2.66
6 C -1.87 1.33 3.77
7 C -2.59 0.17 4.01
8 C -2.21 -0.76 3.05
9 N -1.29 -0.22 2.22
10 C 2.85 1.93 0.88
11 C 3.61 0.77 0.89
12 C 4.88 0.76 1.45
********

> Creating and publishing practical guides and theoretical studies on gender problems and human rights;

> Activities towards setting up human rights networks in the Republic of Bulgaria and the region and their integration within the international and European structures and other kinds of activities for the purposes of the Foundation within the frame of the Bulgarian legislation in force.

Short history of the GAF’s Team activities:

# Molecular data, as found in the file
........
## a
CH5NS | ωB97M-V/def2-TZVPD

Computed properties:
**E_HOMO**: -8.97 eV
**SMILES**: C=N.S

Last column: Mulliken charge in e.
Positions of all 8 atoms, in Å:
1 C -1.38842 0.05017 -0.90266  -0.28
2 N -0.17055 0.16427 -0.60549  -0.44
3 H -1.95170 -0.80332 -0.54043  0.24
4 H -1.92853 0.73613 -1.55454  0.23
5 H 0.25790 1.00427 -0.98556  0.19
6 H 0.99483 -0.40684 0.76946  0.27
7 S 1.78891 -0.94919 1.75883  -0.33
8 H 2.39755 0.20452 2.06038  0.12

## b
CH5NS | ωB97M-V/def2-TZVPD

Computed properties:
**E_HOMO**: -9.32 eV
**SMILES**: C=N.S

Last column: Mulliken charge in e.
Positions of all 8 atoms, in Å:
1 S -2.77967 -0.13514 0.29132  -0.28
2 H -2.83317 0.17179 -1.00943  0.13
3 C 1.46888 -0.00497 -0.29601  -0.21
4 N 0.83133 -0.19297 0.78075  -0.45
5 H 2.36354 0.60850 -0.41345  0.22
6 H 1.10811 -0.46333 -1.21649  0.24
7 H -1.44426 -0.27578 0.30909  0.13
8 H 1.28525 0.29190 1.55424  0.22

## c
CH5NS | ωB97M-V/def2-TZVPD

Computed properties:
**E_HOMO**: -9.10 eV
**SMILES**: C=S.N

Last column: Mulliken charge in e.
Positions of all 8 atoms, in Å:
1 C -1.79084 1.15848 -0.29324  -0.40
2 N 1.83423 -1.26160 -0.00945  -0.66
3 S -1.21657 0.61498 1.13612  -0.18
4 H 1.92542 -0.33035 -0.33794  0.23
5 H -2.58978 0.74480 -0.69069  0.30
6 H -1.23597 1.92064 -0.74480  0.27
7 H 2.20172 -1.31577 0.93313  0.23
8 H 0.87178 -1.53119 0.00687  0.21

Which structure loses on stability? c does.

## a
C2H4FNO2 | ωB97M-V/def2-TZVPD

Computed properties:
**E_HOMO**: -11.32 eV

Last column: Mulliken charge in e.
Positions of all 10 atoms, in Å:
1 C -0.13916 -0.34990 1.08980  -1.10
2 C 0.48448 0.20934 -0.08749  0.34
3 N -0.41375 0.25789 -1.29553  0.87
4 O -1.61075 0.29221 -1.14141  -0.54
5 O 0.13527 0.37297 -2.37024  -0.52
6 F 1.57654 -0.57181 -0.53963  -0.28
7 H 0.50723 -1.08267 1.73982  0.32
8 H -0.91076 -1.12286 0.88447  0.32
9 H -0.47572 0.40562 1.70515  0.30
10 H 0.84661 1.58921 0.01506  0.30

## b
C2H4FNO2 | ωB97M-V/def2-TZVPD

Computed properties:
**E_HOMO**: -7.50 eV

Last column: Mulliken charge in e.
Positions of all 10 atoms, in Å:
1 C 1.67548 0.60116 0.43875  0.87
2 C -0.48886 0.54725 -0.23267  -0.57
3 N -0.70238 -0.89268 -0.01291  -0.27
4 O 2.02508 1.58061 -0.10369  -0.38
5 O 1.58773 -0.44811 1.05107  -0.64
6 F -0.87070 0.98570 -1.49165  -0.30
7 H -1.14170 1.15297 0.44515  0.21
8 H -1.69000 -1.07691 0.11779  0.32
9 H -0.46754 -1.45542 -0.89211  0.33
10 H 0.07290 -0.99456 0.68026  0.44

Which structure loses on stability? a does.

## a
C6H12O4 | ωB97M-V/def2-TZVPD

Computed properties:
**E_HOMO**: -10.54 eV
**SMILES**: CCOC=O.CCOC=O

Last column: Mulliken charge in e.
Positions of all 22 atoms, in Å:
1 O 2.52951 -1.00587 1.59498  -0.50
2 O 0.86834 -1.58487 2.98501  -0.25
3 C 2.12293 -1.43061 2.66962  0.12
4 C -1.44909 -1.36191 2.71255  -1.12
5 C -0.07254 -0.92434 2.18477  0.04
6 H 2.72202 -2.12081 3.29603  0.34
7 H -2.24387 -1.37535 1.94785  0.32
8 H -1.71013 -0.61202 3.47814  0.27
9 H -1.40572 -2.35414 3.19236  0.32
10 H 0.02461 -1.21569 1.12123  0.15
........
# End of the molecular data

The Team works on pro-active research, education, legal counseling, campaigning and lobbying for legislative changes in the field of gender equality and women's rights. Violence against women and socio-economic rights of women make the main focus of the its activities.

-    In the period 2002-2003, the Team worked on draft legislation related to women’ rights in Bulgaria: proposing a Draft for a Law on Protection against Domestic Violence (adopted in March 2005), participation in the working groups for the elaboration of a Draft Act on Equal Opportunities, Draft Act on Protection against Discrimination (in force since 2004), Draft Act for combating trafficking in human beings (in force since 2004).
-    Since 2002, the Team is providing legal aid for women victims of domestic violence;
-    Since 2004, the Team is part of the organization of the Women’s Human Rights Training Institute (WHRTI) for young lawyers from Eastern Europe - an initiative of the BGRF, the Network of East-West Women (NEWW) and the Center for reproductive Rights (CRR). The Institute is a 2-years’ programme focused on building litigation skills on three main issues: employment discrimination, violence against women and reproductive rights, with special focus on multiple discrimination. After successful Three rounds (2004-2006; 2007-2009; 2009-2011), a Fourth round is in s process of implementation.
-    Since 2004, the Team has been working with partner organizations on the implementation of the Law on Protection against Domestic Violence through the application of two main approaches - interdisciplinary support for victims of DV (legal, social, psychological support) and coordinated community response to domestic violence;
-    Since 2005, the Team has been part of a programme for combating discrimination on different grounds providing legal aid and support of victims of employment discrimination as well as gender based discrimination and multiple discrimination;